Contents
~~~
A) CuHAu | PBE-GGA | relaxed

Calculated values
The value obtained for the spin magnetization is 0.00 μB per cell. The space-group type is I4mm, No. 107. For the mass density, the calculation gives 10830 kg/m3. As for the calculated volume: 40.1 Å³/cell. The calculation puts the density of states at the Fermi level at 0.8 states/eV/f.u.

Unit cell a=3.963 b=3.963 c=3.963 alpha=125.12 beta=125.12 gamma=81.35
Fractional coordinates of all 3 atoms:
Cu 0.000 0.000 0.000
H 0.730 0.730 0.000
Au 0.443 0.443 0.000



B) CuHAu | PBE-GGA | relaxed

Calculated values
The value obtained for the spin magnetization is 0.00 μB per cell. The space-group type is P-1, No. 2. For the mass density, the calculation gives 12353 kg/m3. As for the calculated volume: 70.3 Å³/cell. The calculation puts the density of states at the Fermi level at 0.9 states/eV/f.u.

Unit cell a=2.923 b=5.210 c=5.282 alpha=67.64 beta=74.11 gamma=74.41
Fractional coordinates of all 6 atoms:
Cu 0.158 0.456 0.225
Cu 0.842 0.544 0.775
H 0.366 0.333 0.933
H 0.634 0.667 0.067
Au 0.403 0.877 0.326
Au 0.597 0.123 0.674



C) CuHAu | PBE-GGA | relaxed

Calculated values
The value obtained for the spin magnetization is 0.00 μB per cell. The space-group type is P3m1, No. 156. For the mass density, the calculation gives 12104 kg/m3. As for the calculated volume: 35.9 Å³/cell. The calculation puts the density of states at the Fermi level at 0.6 states/eV/f.u.

Unit cell a=2.805 b=2.805 c=5.265 alpha=90.00 beta=90.00 gamma=120.00
Fractional coordinates of all 3 atoms:
Cu 0.000 0.000 0.000
H 0.667 0.333 0.104
Au 0.333 0.667 0.553



B) wins, 14 meV/atom ahead of the next structure.



A) Cu2HAu2 | PBE-GGA | relaxed

Calculated values
The value obtained for the spin magnetization is 0.00 μB per cell. The space-group type is P4/mbm, No. 127. For the mass density, the calculation gives 12778 kg/m3. As for the calculated volume: 135.7 Å³/cell. The calculation puts the density of states at the Fermi level at 1.4 states/eV/f.u.

Unit cell a=5.270 b=5.270 c=4.885 alpha=90.00 beta=90.00 gamma=90.00
Fractional coordinates of all 10 atoms:
Cu 0.179 0.321 0.000
Cu 0.321 0.821 0.000
Cu 0.679 0.179 0.000
Cu 0.821 0.679 0.000
H 0.000 0.000 0.000
H 0.500 0.500 0.000
Au 0.182 0.682 0.500
Au 0.318 0.182 0.500
Au 0.682 0.818 0.500
Au 0.818 0.318 0.500



B) Cu2HAu2 | PBE-GGA | relaxed

Calculated values
The value obtained for the spin magnetization is 0.00 μB per cell. The space-group type is P4/mbm, No. 127. For the mass density, the calculation gives 12571 kg/m3. As for the calculated volume: 137.9 Å³/cell. The calculation puts the density of states at the Fermi level at 1.2 states/eV/f.u.

Unit cell a=5.565 b=5.565 c=4.454 alpha=90.00 beta=90.00 gamma=90.00
Fractional coordinates of all 10 atoms:
Cu 0.154 0.346 0.000
Cu 0.346 0.846 0.000
Cu 0.654 0.154 0.000
Cu 0.846 0.654 0.000
H 0.000 0.000 0.500
H 0.500 0.500 0.500
Au 0.174 0.674 0.500
Au 0.326 0.174 0.500
Au 0.674 0.826 0.500
Au 0.826 0.326 0.500



A) wins, 40 meV/atom ahead of the next structure.

~~~~~

Record 1
BaSi2TcW | PBE-GGA | relaxed

```
BaSi2TcW
1.0
4.723 0.000 0.000
0.000 4.723 0.000
0.000 0.000 5.087
Ba Si Tc W
1 2 1 1
Direct
0.000 0.000 0.000
0.000 0.500 0.500
0.500 0.000 0.500
0.500 0.500 0.500
0.500 0.500 0.000
```

Summary:
Magnetic moment   1.97 μB/f.u.
Energy relative to the elements, uncorrected   0.597 eV/atom

=====

Record 2
Ba2YSiTc | PBE-GGA | relaxed

```
Ba2YSiTc
1.0
5.938 0.000 0.000
0.000 5.938 0.000
0.000 0.000 4.789
Ba Y Si Tc
2 1 1 1
Direct
0.000 0.500 0.000
0.500 0.000 0.000
0.000 0.000 0.500
0.500 0.500 0.500
0.500 0.500 0.000
```

Summary:
Magnetic moment   0.32 μB/f.u.
Energy relative to the elements, uncorrected   0.542 eV/atom

~~~~~

DFT (PBE) results for an optimized crystal structure of LaYSc2Pt2.

Calculated values
* E: -6.781 eV per atom
~~~
Job
It remains to set down the whole of the lines further above with every line break kept.
Reply
A) CuHAu | PBE-GGA | relaxed

Calculated values
The value obtained for the spin magnetization is 0.00 μB per cell. The space-group type is I4mm, No. 107. For the mass density, the calculation gives 10830 kg/m3. As for the calculated volume: 40.1 Å³/cell. The calculation puts the density of states at the Fermi level at 0.8 states/eV/f.u.

Unit cell a=3.963 b=3.963 c=3.963 alpha=125.12 beta=125.12 gamma=81.35
Fractional coordinates of all 3 atoms:
Cu 0.000 0.000 0.000
H 0.730 0.730 0.000
Au 0.443 0.443 0.000



B) CuHAu | PBE-GGA | relaxed

Calculated values
The value obtained for the spin magnetization is 0.00 μB per cell. The space-group type is P-1, No. 2. For the mass density, the calculation gives 12353 kg/m3. As for the calculated volume: 70.3 Å³/cell. The calculation puts the density of states at the Fermi level at 0.9 states/eV/f.u.

Unit cell a=2.923 b=5.210 c=5.282 alpha=67.64 beta=74.11 gamma=74.41
Fractional coordinates of all 6 atoms:
Cu 0.158 0.456 0.225
Cu 0.842 0.544 0.775
H 0.366 0.333 0.933
H 0.634 0.667 0.067
Au 0.403 0.877 0.326
Au 0.597 0.123 0.674



C) CuHAu | PBE-GGA | relaxed

Calculated values
The value obtained for the spin magnetization is 0.00 μB per cell. The space-group type is P3m1, No. 156. For the mass density, the calculation gives 12104 kg/m3. As for the calculated volume: 35.9 Å³/cell. The calculation puts the density of states at the Fermi level at 0.6 states/eV/f.u.

Unit cell a=2.805 b=2.805 c=5.265 alpha=90.00 beta=90.00 gamma=120.00
Fractional coordinates of all 3 atoms:
Cu 0.000 0.000 0.000
H 0.667 0.333 0.104
Au 0.333 0.667 0.553



B) wins, 14 meV/atom ahead of the next structure.



A) Cu2HAu2 | PBE-GGA | relaxed

Calculated values
The value obtained for the spin magnetization is 0.00 μB per cell. The space-group type is P4/mbm, No. 127. For the mass density, the calculation gives 12778 kg/m3. As for the calculated volume: 135.7 Å³/cell. The calculation puts the density of states at the Fermi level at 1.4 states/eV/f.u.

Unit cell a=5.270 b=5.270 c=4.885 alpha=90.00 beta=90.00 gamma=90.00
Fractional coordinates of all 10 atoms:
Cu 0.179 0.321 0.000
Cu 0.321 0.821 0.000
Cu 0.679 0.179 0.000
Cu 0.821 0.679 0.000
H 0.000 0.000 0.000
H 0.500 0.500 0.000
Au 0.182 0.682 0.500
Au 0.318 0.182 0.500
Au 0.682 0.818 0.500
Au 0.818 0.318 0.500



B) Cu2HAu2 | PBE-GGA | relaxed

Calculated values
The value obtained for the spin magnetization is 0.00 μB per cell. The space-group type is P4/mbm, No. 127. For the mass density, the calculation gives 12571 kg/m3. As for the calculated volume: 137.9 Å³/cell. The calculation puts the density of states at the Fermi level at 1.2 states/eV/f.u.

Unit cell a=5.565 b=5.565 c=4.454 alpha=90.00 beta=90.00 gamma=90.00
Fractional coordinates of all 10 atoms:
Cu 0.154 0.346 0.000
Cu 0.346 0.846 0.000
Cu 0.654 0.154 0.000
Cu 0.846 0.654 0.000
H 0.000 0.000 0.500
H 0.500 0.500 0.500
Au 0.174 0.674 0.500
Au 0.326 0.174 0.500
Au 0.674 0.826 0.500
Au 0.826 0.326 0.500



A) wins, 40 meV/atom ahead of the next structure.

~~~~~

Record 1
BaSi2TcW | PBE-GGA | relaxed

```
BaSi2TcW
1.0
4.723 0.000 0.000
0.000 4.723 0.000
0.000 0.000 5.087
Ba Si Tc W
1 2 1 1
Direct
0.000 0.000 0.000
0.000 0.500 0.500
0.500 0.000 0.500
0.500 0.500 0.500
0.500 0.500 0.000
```

Summary:
Magnetic moment   1.97 μB/f.u.
Energy relative to the elements, uncorrected   0.597 eV/atom

=====

Record 2
Ba2YSiTc | PBE-GGA | relaxed

```
Ba2YSiTc
1.0
5.938 0.000 0.000
0.000 5.938 0.000
0.000 0.000 4.789
Ba Y Si Tc
2 1 1 1
Direct
0.000 0.500 0.000
0.500 0.000 0.000
0.000 0.000 0.500
0.500 0.500 0.500
0.500 0.500 0.000
```

Summary:
Magnetic moment   0.32 μB/f.u.
Energy relative to the elements, uncorrected   0.542 eV/atom

~~~~~

DFT (PBE) results for an optimized crystal structure of LaYSc2Pt2.

Calculated values
* E: -6.781 eV per atom